What to do:
Next, transcribe the lines further below up to the one that holds "2.612 states/eV/cell;", that line included.

Input:
........
Pr2Nd12Er5 (GGA-PBE, relaxed); energy relative to the elements = 98 meV per atom; D(E_F) = 25.731 states/eV/cell; space group = C2/m, No. 12; mass density = 7.3 g cm⁻³; excess energy over the best structure of this formula in the dataset = 0.0 kJ per mole of atoms
1.0
11.760 0.000 0.000
-5.880 8.974 1.228
0.000 -2.179 5.861
Nd Er Pr
12 5 2
Direct
0.542 0.602 0.799
0.856 0.209 0.614
0.353 0.209 0.614
0.458 0.398 0.201
0.123 0.247 0.997
0.558 0.116 0.274
0.877 0.753 0.003
0.144 0.791 0.386
0.647 0.791 0.386
0.061 0.602 0.799
0.442 0.884 0.726
0.939 0.398 0.201
0.786 0.571 0.452
0.214 0.429 0.548
0.322 0.644 0.142
0.000 0.000 0.500
0.678 0.356 0.858
0.226 0.000 0.000
0.774 0.000 0.000

K3Ce3IrS8 (GGA-PBE, relaxed); D(E_F) = 13.265 states/eV/cell; space group = R-3m, No. 166; mass density = 3.9 g cm⁻³; raw formation energy = -1.45 eV/atom
1.0
8.012 0.000 0.000
-4.006 6.939 -0.030
0.000 -4.594 7.557
S K Ce Ir
8 3 3 1
Direct
0.790 0.025 0.314
0.210 0.975 0.686
0.264 0.528 0.291
0.790 0.580 0.314
0.235 0.024 0.314
0.736 0.472 0.709
0.210 0.420 0.686
0.765 0.976 0.686
0.000 0.500 0.000
0.000 0.000 0.000
0.500 0.500 0.000
0.500 0.000 0.500
0.500 0.500 0.500
0.000 0.500 0.500
0.000 0.000 0.500

CrTc2As4 (GGA-PBE, relaxed); energy relative to the elements = -237 meV per atom; D(E_F) = 2.813 states/eV/cell; space group = C2/m, No. 12; mass density = 7.7 g cm⁻³; excess energy over the best structure of this formula in the dataset = 0.0 kJ per mole of atoms
1.0
3.140 0.000 0.000
0.000 6.371 0.268
-1.570 -2.823 5.791
Cr Tc As
1 2 4
Direct
0.000 0.000 0.000
0.254 0.309 0.507
0.746 0.691 0.493
0.405 0.693 0.811
0.150 0.864 0.300
0.595 0.307 0.189
0.850 0.136 0.700

Dy3Pt2Rh (GGA-PBE, relaxed); energy relative to the elements = -1115 meV per atom; D(E_F) = 4.234 states/eV/cell; space group = Cmmm, No. 65; mass density = 13.0 g cm⁻³
1.0
4.918 0.000 0.019
2.459 7.382 0.010
-0.027 0.000 6.904
Dy Rh Pt
6 2 4
Direct
0.832 0.336 0.247
0.832 0.336 0.753
0.500 0.000 0.248
0.168 0.664 0.247
0.168 0.664 0.753
0.500 0.000 0.752
0.669 0.661 0.000
0.331 0.339 0.000
0.000 0.000 0.000
0.335 0.330 0.500
0.000 0.000 0.500
0.665 0.670 0.500

YTc2Pb (GGA-PBE, relaxed); energy relative to the elements = 45 meV per atom; D(E_F) = 2.612 states/eV/cell; space group = P4mm, No. 99; mass density = 9.9 g cm⁻³
1.0
3.160 0.009 0.000
-0.008 3.160 0.000
0.000 0.000 8.251
Pb Y Tc
1 1 2
Direct
0.500 0.500 0.791
0.000 0.000 0.455
0.000 0.000 0.043
0.500 0.500 0.210

Mn2Si2Te (GGA-PBE, relaxed); D(E_F) = 3.575 states/eV/cell; space group = I4/mmm, No. 139; mass density = 6.6 g cm⁻³; raw formation energy = -0.05 eV/atom
1.0
-0.279 -0.708 -3.403
0.842 -3.326 0.623
-5.634 -3.370 -0.623
Te Si Mn
1 2 2
Direct
0.000 0.000 0.000
0.250 0.750 0.500
0.750 0.250 0.500
0.615 0.615 0.769
0.385 0.385 0.231

Li2YInBr6 (GGA-PBE, relaxed); D(E_F) = 0.000 states/eV/cell; space group = R3, No. 146; mass density = 3.8 g cm⁻³; raw formation energy = -1.47 eV/atom
1.0
7.285 0.000 0.001
3.643 6.308 0.000
3.643 2.103 6.659
Br Y Li In
6 1 2 1
Direct
0.913 0.593 0.235
0.165 0.341 0.755
0.341 0.740 0.755
0.740 0.164 0.755
0.593 0.259 0.235
0.259 0.913 0.235
0.323 0.323 0.031
0.517 0.517 0.449
0.008 0.008 0.976
0.804 0.804 0.588

RbTc3Pt (GGA-PBE, relaxed); energy relative to the elements = 3228 meV per atom; D(E_F) = 9.036 states/eV/cell; space group = Pm-3m, No. 221; mass density = 9.9 g cm⁻³; excess energy over the best structure of this formula in the dataset = 129.8 kJ per mole of atoms
1.0
-1.327 3.758 -2.263
-0.620 -2.501 -3.790
-4.342 -0.791 1.233
Rb Pt Tc
1 1 3
Direct
0.000 0.000 0.000
0.500 0.500 0.500
0.000 0.500 0.000
0.500 0.000 0.000
0.000 0.000 0.500

K4Y3GaS8 (GGA-PBE, relaxed); space group = R-3m, No. 166; mass density = 3.1 g cm⁻³; raw formation energy = -1.58 eV/atom
1.0
7.973 0.000 0.000
0.000 8.674 0.481
-3.987 -3.979 5.644
S K Ga Y
8 4 1 3
Direct
0.777 0.304 0.553
0.223 0.696 0.447
0.265 0.296 0.531
0.251 0.304 0.028
0.749 0.696 0.972
0.223 0.696 0.972
0.735 0.704 0.469
........

Written answer:
Pr2Nd12Er5 (GGA-PBE, relaxed); energy relative to the elements = 98 meV per atom; D(E_F) = 25.731 states/eV/cell; space group = C2/m, No. 12; mass density = 7.3 g cm⁻³; excess energy over the best structure of this formula in the dataset = 0.0 kJ per mole of atoms
1.0
11.760 0.000 0.000
-5.880 8.974 1.228
0.000 -2.179 5.861
Nd Er Pr
12 5 2
Direct
0.542 0.602 0.799
0.856 0.209 0.614
0.353 0.209 0.614
0.458 0.398 0.201
0.123 0.247 0.997
0.558 0.116 0.274
0.877 0.753 0.003
0.144 0.791 0.386
0.647 0.791 0.386
0.061 0.602 0.799
0.442 0.884 0.726
0.939 0.398 0.201
0.786 0.571 0.452
0.214 0.429 0.548
0.322 0.644 0.142
0.000 0.000 0.500
0.678 0.356 0.858
0.226 0.000 0.000
0.774 0.000 0.000

K3Ce3IrS8 (GGA-PBE, relaxed); D(E_F) = 13.265 states/eV/cell; space group = R-3m, No. 166; mass density = 3.9 g cm⁻³; raw formation energy = -1.45 eV/atom
1.0
8.012 0.000 0.000
-4.006 6.939 -0.030
0.000 -4.594 7.557
S K Ce Ir
8 3 3 1
Direct
0.790 0.025 0.314
0.210 0.975 0.686
0.264 0.528 0.291
0.790 0.580 0.314
0.235 0.024 0.314
0.736 0.472 0.709
0.210 0.420 0.686
0.765 0.976 0.686
0.000 0.500 0.000
0.000 0.000 0.000
0.500 0.500 0.000
0.500 0.000 0.500
0.500 0.500 0.500
0.000 0.500 0.500
0.000 0.000 0.500

CrTc2As4 (GGA-PBE, relaxed); energy relative to the elements = -237 meV per atom; D(E_F) = 2.813 states/eV/cell; space group = C2/m, No. 12; mass density = 7.7 g cm⁻³; excess energy over the best structure of this formula in the dataset = 0.0 kJ per mole of atoms
1.0
3.140 0.000 0.000
0.000 6.371 0.268
-1.570 -2.823 5.791
Cr Tc As
1 2 4
Direct
0.000 0.000 0.000
0.254 0.309 0.507
0.746 0.691 0.493
0.405 0.693 0.811
0.150 0.864 0.300
0.595 0.307 0.189
0.850 0.136 0.700

Dy3Pt2Rh (GGA-PBE, relaxed); energy relative to the elements = -1115 meV per atom; D(E_F) = 4.234 states/eV/cell; space group = Cmmm, No. 65; mass density = 13.0 g cm⁻³
1.0
4.918 0.000 0.019
2.459 7.382 0.010
-0.027 0.000 6.904
Dy Rh Pt
6 2 4
Direct
0.832 0.336 0.247
0.832 0.336 0.753
0.500 0.000 0.248
0.168 0.664 0.247
0.168 0.664 0.753
0.500 0.000 0.752
0.669 0.661 0.000
0.331 0.339 0.000
0.000 0.000 0.000
0.335 0.330 0.500
0.000 0.000 0.500
0.665 0.670 0.500

YTc2Pb (GGA-PBE, relaxed); energy relative to the elements = 45 meV per atom; D(E_F) = 2.612 states/eV/cell; space group = P4mm, No. 99; mass density = 9.9 g cm⁻³